
Glonoinum signs and symptoms of the homeopathy medicine from the Dictionary of Practical Materia Medica by J.H. Clarke. Find out for which conditions and symptoms Glonoinum is used…

1.
TlMoIr2: relaxed, GGA-PBE.

The structure in extended XYZ format:
```
4
Lattice="-2.8983 -3.0855 1.2427 0.7370 -1.6225 -2.3097 3.3523 -1.5487 3.9730" Properties=species:S:1:pos:R:3 pbc="T T T"
Ir 3.3194 -1.6002 3.7683
Ir -0.3680 -2.3010 1.2602
Mo 2.1027 -1.9809 -0.0144
Tl 1.5338 -3.5089 2.6965
```

Magnetization (μB per atom): 0.000
SG: Pm
Formation energy from the elements (eV/atom): 0.373
Offset from the most stable computed form (eV/f.u.): 1.138
Theoretical density (g/cm3): 16.9

=====

2.
Zn2TcNi2: relaxed, GGA-PBE.

The structure in extended XYZ format:
```
10
Lattice="-0.7764 3.9086 -5.8090 0.9723 -5.7277 -3.9840 -2.5385 -0.4543 0.0336" Properties=species:S:1:pos:R:3 pbc="T T T"
Ni 0.5599 -3.5485 -5.6775
Ni -0.0740 -0.1468 -7.5753
Ni -0.3640 1.7294 -4.1154
Ni 0.2699 -1.6723 -2.2177
Zn -0.7492 -3.4061 -3.6712
Zn -0.9880 -2.3317 -7.1877
Zn -1.5935 1.1327 -6.0881
Zn -1.3546 0.0583 -2.5716
Tc 0.0000 0.0000 0.0000
Tc 0.0979 -0.9095 -4.8965
```

Magnetization (μB per atom): 0.000
SG: P4/mbm
Formation energy from the elements (eV/atom): 0.078
Offset from the most stable computed form (eV/f.u.): 0.219
Theoretical density (g/cm3): 9.0

=====

3.
SmP4HO12: relaxed, GGA-PBE.

The structure in extended XYZ format:
```
36
Lattice="-0.7597 -0.4602 -7.2593 -3.7808 -7.2539 3.1956 -5.3894 6.2496 3.6301" Properties=species:S:1:pos:R:3 pbc="T T T"
Sm -2.4770 -0.3930 1.1316
Sm -7.4529 -1.0715 -1.5652
P -4.6730 1.2329 -1.3866
P -5.2569 -2.6975 0.9530
P -4.9620 1.3692 3.1329
P -4.9680 -2.8337 -3.5665
P -5.6431 4.1845 2.3293
P -4.2869 -5.6491 -2.7629
P -5.5376 4.0602 -0.6751
P -4.3924 -5.5247 0.2415
H -7.6686 -1.9586 1.7817
H -2.2614 0.4940 -2.2154
O -5.9359 0.6000 -0.8993
O -3.9940 -2.0646 0.4657
O -3.3374 0.6637 -0.9740
O -6.5925 -2.1283 0.5403
O -4.6243 2.7945 -0.9787
O -5.3056 -4.2590 0.5451
O -4.6368 1.3257 -2.9932
O -5.2931 -2.7902 2.5596
O -5.9215 0.3510 3.6699
O -4.0084 -1.8156 -4.1035
O -4.1880 1.0836 1.8824
O -5.7419 -2.5482 -2.3161
O -5.8094 2.7281 2.9709
O -4.1206 -4.1927 -3.4045
O -4.2315 4.6858 2.3806
O -5.6985 -6.1503 -2.8142
O -1.3388 -1.2217 -0.7219
O -8.5912 -0.2429 0.2882
O -6.0714 3.8595 0.7925
O -3.8585 -5.3241 -1.2261
O -6.6741 4.2196 -1.6195
O -3.2558 -5.6842 1.1859
O -8.2905 -2.0288 2.5879
O -1.6394 0.5642 -3.0215
```

Magnetization (μB per atom): 0.000
SG: P-1
Calculated total energy (eV per atom): -7.27
Theoretical density (g/cm3): 3.2

=====

4.
YAg2W: relaxed, GGA-PBE.

The structure in extended XYZ format:
```
4
Lattice="-6.0433 4.5500 -7.1381 -8.1539 3.0762 -5.6769 -7.2765 5.7375 -4.7233" Properties=species:S:1:pos:R:3 pbc="T T T"
Ag -21.3611 13.2937 -17.4462
Ag -10.8495 6.7520 -8.8611
W -5.3684 3.3409 -4.3845
Y -16.1053 10.0228 -13.1536
```

Magnetization (μB per atom): 0.000
SG: R-3m
Formation energy from the elements (eV/atom): 0.585
Offset from the most stable computed form (eV/f.u.): 0.916
Theoretical density (g/cm3): 10.4

=====

5.
Ba2MgOsN4: relaxed, GGA-PBE.

The structure in extended XYZ format:
```
16

      Nitro-glycerine. C3H5(NO3)O3. Dilutions with alcohol.


*Angina pectoris. Aphasia. Apoplexy. *Brain, *Congestion of. Bright’s disease. Convulsions. Epilepsy. Epistaxis. Fright, effects of. *Goitre. *Headache. Heart, affections of, palpitation of. Jarring, effects of. Location, sense of, lost. Mania. Meningitis. Menses, suppression of. *Neuralgia. Paralysis. Rheumatism. Sciatica. Sea-sickness. Snow-headache. Sun-headache. *Sunstroke. Toothache. Trauma.


“Nitro-glycerine was discovered by Sobrero in 1847, by none could be obtained for physiological experiment until Morris Davis, a Philadelphia chemist, in the same year, after long and laborious trials, under direction of Hering, succeeded in producing the substance in sufficient quantities for proving.” I quote this from the *Guiding Symptoms. *Gloninum, is one of the many monuments of Hering’s therapeutic genius. It is to him that we owe the introduction of this notable remedy into the materia medica, and into medicine. The note of the action of *Gloninum is a tendency to sudden and violent irregularities of the circulation. It acts very quickly and very violently. The “signature” of this potent explosive may be said to be “bursting” and “expansion.” Bursting, throbbing headaches, sensations of expanding in the head and elsewhere. Throbbing of carotids, violent action of heart, rush of blood to head, flushes of heat rising from chest to head, then throbbing pain in head. The characteristic *neuralgias of *Gloninum are accompanied with much throbbing, and are often worse at night, preventing sleep. Supra-orbital neuralgia, pulsating, retinal congestion from exposure to strong light. Facial neuralgia, extending through head. Cardiac neuralgia (angina pectoris) with radiating pains.

Guernsey, with his usual graphic terseness, says that *Gloninum is suited to “Troubles of the head in type-setters, and in men who work under a gas-light steadily, so that the heat falls on the head, bad results from sunstroke, *can’t bear any heat about the head, can’t walk in the sun, must walk in the shade or carry and umbrella, can’t bear heat from a stove, great vertigo on assuming an upright posture, from rising up in bed, rising from a seat, etc. Heat in the head, throbbing headache.” The great sensitiveness to the least jar, which is a very marked feature of the *Gloninum headache, causes the patient to carry his head very carefully in order to avoid the chance of it. The headache is in the whole head and every part _ forehead, vertex, occiput. Many pains appear in occiput and base of brain, gnawing in occiput, sore pain, pressure, severe pain in occiput, extending to eyes and temples, sensation as if something were moving in nerves from back of neck upward to head. The eyes may be fixed or protrude, aversion to bright light, black spots before sight. Face flushed or pale. Climacteric disturbances.

Fainting, sudden unconsciousness, convulsions, especially during labour. Nausea and vomiting of cerebral origin. Violent, stabbing, neuralgic pains, so violent as to make patient frantic, he wants to escape, to jump out of window. Bad effects of fear, horrible apprehension, fear of being poisoned. A characteristic mental condition is loss of sense of location: “well-known streets seem strange to him.” Among the peculiar *sensations are: Chin feels too long. Chest feels screwed together. Brain as if expanding, as if moving in waves, as if hanging with head downwards, as if something were pumped into vertex, as if everything were crowded out at forehead, as if warm water were running upwards from nape of neck, as if the neck were gripped by a hand, as if some one were pulling eyes from within outward. Noise in left ear as if it came from heart. Lower lip feels swollen. As if heart would rise to throat. Pains are: Bursting, throbbing, pulsative, tearing, piercing, stabbing, gnawing. Burning between shoulders. Sitting or lying still, or walking in cold air better headache. Bending forward, bending head backward, and almost every movement worse headache. Rest worse pain in knee. Excessive heat and cold causes hyperemia or brain. Heat generally worse, cold applications and cool air better, but cold water applied to head worse head symptoms, even causes spasms Worse. Damp weather. Bad effects of having hair cut, of exposure to sun or fire heat. All summer, headache worse every day with the sun. Worse From wine. Pains from within outward, from front to back. Bad effect of too much riding or driving, sea-sickness, worse from jarring. Pressure better headache. Cannot bear weight of hair, clothing seems too tight. Suited to: Florid, plethoric, sensitive women, nervous, sanguine, readily affected persons. Old scars break out again.

Materials data, kept here for reference.
........
[1]
{"formula": "SrCo2Si", "functional": "PBE-GGA", "state": "optimized geometry", "e_form_raw_ev_per_atom": 0.26, "spacegroup": "Immm (71)", "m_tot_mub_per_cell": 1.4, "lattice_angstrom": [[-1.9263, 2.7048, 3.5658], [1.9263, -2.7048, 3.5658], [1.9263, 2.7048, -3.5658]], "species": ["Sr", "Co", "Co", "Si"], "fractional_positions": [[0.0000, 0.0000, 0.0000], [0.3307, 0.8307, 0.5000], [0.6693, 0.1693, 0.5000], [0.5000, 0.5000, 0.0000]]}

[2]
{"formula": "Li5ZnAu4", "functional": "PBE-GGA", "state": "optimized geometry", "delta_e_f_ev_per_atom": -0.470, "e_above_lowest_polymorph_mev_per_atom": 0.0, "spacegroup": "P4/mmm (123)", "m_tot_mub_per_cell": 0.0, "lattice_angstrom": [[3.2257, 0.0000, 0.0000], [0.0000, 3.2257, 0.0000], [0.0000, 0.0000, 14.7070]], "species": ["Li", "Li", "Li", "Li", "Li", "Zn", "Au", "Au", "Au", "Au"], "fractional_positions": [[0.0000, 0.0000, 0.0000], [0.0000, 0.0000, 0.2014], [0.0000, 0.0000, 0.3980], [0.0000, 0.0000, 0.6020], [0.0000, 0.0000, 0.7986], [0.5000, 0.5000, 0.5000], [0.5000, 0.5000, 0.1013], [0.5000, 0.5000, 0.3046], [0.5000, 0.5000, 0.6954], [0.5000, 0.5000, 0.8987]]}

[3]
{"formula": "Pr3Al2Cu7", "functional": "PBE-GGA", "state": "optimized geometry", "delta_e_f_ev_per_atom": -0.052, "spacegroup": "I4/mmm (139)", "m_tot_mub_per_cell": 0.0, "lattice_angstrom": [[-2.1541, 2.1541, 12.7076], [2.1541, -2.1541, 12.7076], [2.1541, 2.1541, -12.7076]], "species": ["Pr", "Pr", "Pr", "Al", "Al", "Cu", "Cu", "Cu", "Cu", "Cu", "Cu", "Cu"], "fractional_positions": [[0.0000, 0.0000, 0.0000], [0.1691, 0.1691, 0.0000], [0.8309, 0.8309, 0.0000], [0.3826, 0.3826, 0.0000], [0.6174, 0.6174, 0.0000], [0.0748, 0.5748, 0.5000], [0.2842, 0.2842, 0.0000], [0.4252, 0.9252, 0.5000], [0.5000, 0.5000, 0.0000], [0.5748, 0.0748, 0.5000], [0.7158, 0.7158, 0.0000], [0.9252, 0.4252, 0.5000]]}

[4]
{"formula": "Ce2HfPN5", "functional": "PBE-GGA", "state": "optimized geometry", "e_form_raw_ev_per_atom": -0.64, "spacegroup": "P4/mbm (127)", "m_tot_mub_per_cell": 0.0, "lattice_angstrom": [[6.3933, 0.0000, 0.0000], [0.0000, 6.3933, 0.0000], [0.0000, 0.0000, 5.5639]], "species": ["Ce", "Ce", "Ce", "Ce", "Hf", "Hf", "P", "P", "N", "N", "N", "N", "N", "N", "N", "N", "N", "N"], "fractional_positions": [[0.1749, 0.3251, 0.0000], [0.3251, 0.8251, 0.0000], [0.6749, 0.1749, 0.0000], [0.8251, 0.6749, 0.0000], [0.0000, 0.0000, 0.5000], [0.5000, 0.5000, 0.5000], [0.0000, 0.5000, 0.5000], [0.5000, 0.0000, 0.5000], [0.0000, 0.0000, 0.0000], [0.1402, 0.6402, 0.2860], [0.1402, 0.6402, 0.7140], [0.3598, 0.1402, 0.2860], [0.3598, 0.1402, 0.7140], [0.5000, 0.5000, 0.0000], [0.6402, 0.8598, 0.2860], [0.6402, 0.8598, 0.7140], [0.8598, 0.3598, 0.2860], [0.8598, 0.3598, 0.7140]]}

Number 1: DFT total energy -5.069 eV/atom. Number 2: DFT total energy -2.865 eV/atom. Number 3: DFT total energy -4.260 eV/atom. Number 4: DFT total energy -8.293 eV/atom.


# 1
This record from the Alexandria database describes a relaxed Li2TcSe crystal. The functional is PBE.
........


*Antidoted by: Aconite Camph., Coffea, Nux v. *Compare: Amyl nit., Actea r. (waving in brain), Petrol. and Crotal. h. (loss of location), Belladonna (cephalic cry but not as marked in Belladonna, also Belladonna has better bending head back, and better covering head, Gloninum Better uncovered), Apis, Hyoscyamus (fears being poisoned), Gelsemium (inclination to jump out of window), Stramonium, Sanguinaria (headache with the sun, ear sensitive to jar), nitricum acidum and Belladonna (sensitiveness to jar), Melilot. (headache with crimson face), Lycopodium and Phosphorus (Burning between shoulders), Digitalis and Diosc. (headache extending into nose), Secale (fingers spread apart).


Sun. Bright snow. Fire-heat. Fear or fright. Jarring. Injuries.



Falling down, with loss of consciousness and alternate palpitation of the heart, and congestion of the head. Fear, throat feels swollen, chest as if screwed together, apprehensive of approaching death, fears she has been poisoned. Fear, as if something unpleasant would happen to him. Unusually bright and loquacious, with great flow of ideas. Confusion of ideas, cannot tell where he is, well-known streets seem strange, way home too long, forgets on which side of the street he lives. Great mental agitation (with headache), frantic, attempts to run away, to jump out of window. Cephalic cry. The chin feels too long.


Vertigo, worse from stooping or moving head, in open air. Giddiness when the head is moved. Heaviness in the head, principally in forehead. Dull headache with warm perspiration on forehead. Headache with accelerated pulse, red face, perspiration on the face, he becomes unconscious. Headache worse from the heat of the sun, better in the open air and from pressure. Headache, throbbing, etc., during or in place of menses. Fullness in the head, as if the brain was expanding itself, were moving in waves. Fullness in the head, distinct feeling of the pulse in the head, throbbing without pain. Sensation as if the blood were mounting to the head. Congestion of blood to the head (apoplexy). Pulsation in the forehead, in the temples, on the vertex, when walking every step is felt in the neck, when moving the head. Throbbing in the head, in forehead, in temples, in vertex, in occiput, worse when moving, better when sitting still and lying and from pressure. Throbbing in the temporal arteries, which were raised, and felt like cords. Stitches in temples or right side of forehead. Sore and bruised feeling in the brain, worse when shaking the head. Sensation of soreness through the whole head, is afraid to shake the head, as it seems that it would make the head drop to pieces. The pain, heat, and fullness in the head ascend from the chest, neck, or back part of the head. Severe pain the occiput, extending to the eyes and temples. Shaking worse the headache, as well as stooping motion, ascending steps, external pressure better, walking in the open air, uncovering the head better. Cracking sensation in the brain. Skull seems too small, and as if the brain were attempting to burst the skull, violent action of the heart, and a distinct pulsation over the whole body. Shocks in the brain synchronous with the pulse. Undulating or wave-like motion in the brain. Hemicrania, sees half light, half dark. Gnawing in occiput.


Eyes dull, staring, sunken. The white of the eye is red, the eyes protrude, look wild. Eyes feel as if some one were pulling them from within outward. Pressing, protruding pains in eyes. In the eyeballs, stitches, twitchings, soreness, pressure. Pupils dilated, eyes rolled upward. Heat in the balls of the eyes, lids, and around the eyes. Sparks, flashes before the eyes. The letters appear smaller. As if focus of right eye were suddenly displaced, sees everything half light and half dark. Black spots before, and obscuration of the eyes, with fainting.


Sensation of fullness, in and around the ears. Ears sensitive to jarring. Deafness, ears feel as if stopped up. Stitches in the ears, the ears feel as if closed. Throbbing, piercing from within outward in right ear. Ringing, singing, or cracking in the ears. Ringing in the ears, audible pulse.


Pain at root of nose. The headache extends into the nose.

**Materials data, kept here for reference:**
-- begin --
Entry P
# TaCuMo

A crystal of TaCuMo relaxed with PBEsol (SCAN, the Alexandria database).

## Properties
Symmetry: I4mm, No. 107
Total moment, μB/cell: 0.00

Unit cell a=2.6731 b=2.6731 c=12.4680 alpha=90.00 beta=90.00 gamma=90.00
Closest atoms and distances in Å follow each position.
Sites, in units of the cell vectors:
Ta 0.0000 0.0000 0.0000  4 Ta 2.67, 4 Cu 2.75
Ta 0.5000 0.5000 0.5000  4 Ta 2.67, 4 Cu 2.75
Cu 0.0000 0.0000 0.6600  4 Cu 2.67, 4 Mo 2.69, 4 Ta 2.75
Cu 0.5000 0.5000 0.1600  4 Cu 2.67, 4 Mo 2.69, 4 Ta 2.75
Mo 0.0000 0.0000 0.3137  4 Mo 2.67, 4 Cu 2.69
Mo 0.5000 0.5000 0.8137  4 Mo 2.67, 4 Cu 2.69

=====

Entry Q
# TaCuMo

A crystal of TaCuMo relaxed with PBEsol (SCAN, the Alexandria database).

## Properties
Symmetry: F-43m, No. 216
Total moment, μB/cell: 0.00

Unit cell a=5.9959 b=5.9959 c=5.9959 alpha=90.00 beta=90.00 gamma=90.00
Closest atoms and distances in Å follow each position.
Sites, in units of the cell vectors:
Ta 0.0000 0.0000 0.0000  4 Mo 2.60
Ta 0.0000 0.5000 0.5000  4 Mo 2.60
Ta 0.5000 0.0000 0.5000  4 Mo 2.60
Ta 0.5000 0.5000 0.0000  4 Mo 2.60
Cu 0.0000 0.0000 0.5000  4 Mo 2.60
Cu 0.0000 0.5000 0.0000  4 Mo 2.60
Cu 0.5000 0.0000 0.0000  4 Mo 2.60
Cu 0.5000 0.5000 0.5000  4 Mo 2.60
Mo 0.2500 0.2500 0.2500  4 Ta 2.60, 4 Cu 2.60
Mo 0.2500 0.7500 0.7500  4 Ta 2.60, 4 Cu 2.60
Mo 0.7500 0.2500 0.7500  4 Ta 2.60, 4 Cu 2.60
Mo 0.7500 0.7500 0.2500  4 Ta 2.60, 4 Cu 2.60

=====

Which of them is least stable? Easy: entry Q.

=====

Entry P
# Ta2CuMo

A crystal of Ta2CuMo relaxed with PBEsol (SCAN, the Alexandria database).

## Properties
Symmetry: P4mm, No. 99
Total moment, μB/cell: 0.00

Unit cell a=3.2608 b=3.2608 c=5.8351 alpha=90.00 beta=90.00 gamma=90.00
Closest atoms and distances in Å follow each position.
Sites, in units of the cell vectors:
Ta 0.0000 0.0000 0.0000  4 Mo 2.72, 4 Ta 2.83, 2 Cu 2.84-3.00
Ta 0.5000 0.5000 0.2807  4 Cu 2.68, 1 Mo 2.75, 4 Ta 2.83
Cu 0.0000 0.0000 0.5135  6 Ta 2.68-3.00, 4 Mo 2.69
Mo 0.5000 0.5000 0.7516  4 Cu 2.69, 5 Ta 2.72-2.75

=====

Entry Q
# Ta2CuMo

A crystal of Ta2CuMo relaxed with PBEsol (SCAN, the Alexandria database).

## Properties
Symmetry: P4/mmm, No. 123
Total moment, μB/cell: 0.00

Unit cell a=3.2352 b=3.2352 c=5.9376 alpha=90.00 beta=90.00 gamma=90.00
Closest atoms and distances in Å follow each position.
Sites, in units of the cell vectors:
Ta 0.0000 0.0000 0.2482  4 Cu 2.72, 4 Mo 2.73, 2 Ta 2.95-2.99
Ta 0.0000 0.0000 0.7518  4 Cu 2.72, 4 Mo 2.73, 2 Ta 2.95-2.99
Cu 0.5000 0.5000 0.0000  8 Ta 2.72, 2 Mo 2.97
Mo 0.5000 0.5000 0.5000  8 Ta 2.73, 2 Cu 2.97

=====

Which of them is least stable? Easy: entry P.

=====

Entry P
# CuTcMo

A crystal of CuTcMo relaxed with PBEsol (SCAN, the Alexandria database).

## Properties
Symmetry: F-43m, No. 216
Total moment, μB/cell: 0.00

Unit cell a=5.8090 b=5.8090 c=5.8090 alpha=90.00 beta=90.00 gamma=90.00
Closest atoms and distances in Å follow each position.
Sites, in units of the cell vectors:
Cu 0.0000 0.0000 0.0000  4 Tc 2.52
-- stop --

John Henry Clarke
John Henry Clarke MD (1853 – November 24, 1931 was a prominent English classical homeopath. Dr. Clarke was a busy practitioner. As a physician he not only had his own clinic in Piccadilly, London, but he also was a consultant at the London Homeopathic Hospital and researched into new remedies — nosodes. For many years, he was the editor of The Homeopathic World. He wrote many books, his best known were Dictionary of Practical Materia Medica and Repertory of Materia Medica